The Origin of the Prime Number Theorem — Legendre and Gauss

 C. F. Gauss stamp
C. F. Gauss (1777-1855)

The prime numbers have been an object of fascination for a long time. These are the counting numbers having no divisors other than one and themselves:

\[ 2, 3, 5, 7, 11, 13, 17, 19, 23, 29, 31, 37, 41, 43, 47, \ldots. \]

The key fact about the primes is that every natural number can be written as a product of primes, and the product is unique up to the order of the factors. Euclid proved that there are infinitely many prime numbers in 300 BC in Book IX, Proposition 20 of the Elements. Like all of Euclid, the proof is geometrical, with line segments representing numbers, but it's valid and recognizable. The modern proof goes like this:

Theorem. There are infinitely many prime numbers.

Proof. Suppose \( p_1, p_2, \ldots p_n \) represent the first \( n \) prime numbers: \( p_1 = 2, p_2 = 3, p_3 = 5, \) and so on. Then every prime divisor of \( m = p_1 \cdot p_2 \cdot p_3 \cdots p_n + 1 \) is different from \( p_1, p_2, \ldots p_n, \) so there is at least one more prime. Take \( p_1 \) for example. Obviously \( p_1 | (p_1 \cdot p_2 \cdot p_3 \cdots p_n), \) so if \( p_1 | m, \) then \( p_1 | (m - p_1 \cdot p_2 \cdot p_3 \cdots p_n). \) That is, \( p_1 | 1 \) and therefore \( p_1 = 1, \) which is not a prime number. It follows that \( p_1 \) cannot divide \( m \) and similarly none of the \( p_j \) can divide \( m, \) all of whose prime divisors must therefore be other than \( p_1, p_2, \cdots p_n. \)QED.

This proof assumes that every natural number has at least one prime divisor, but this can be filled in. Note that (despite a promising start), \( m = p_1 \cdot p_2 \cdot p_3 \cdots p_n + 1 \) is not necessarily prime itself, it just has a prime factor other than \( p_1, p_2, \ldots p_n: \)

2 + 1 &= 3\\
2 \cdot 3 + 1 &= 7\\
2 \cdot 3 \cdot 5 + 1 &= 31\\
2 \cdot 3 \cdot 5 \cdot 7 + 1 &= 211\\
2 \cdot 3 \cdot 5 \cdot 7 \cdot 11 + 1 &= 2311\\
2 \cdot 3 \cdot 5 \cdot 7 \cdot 11 \cdot 13 + 1 &= 30031 = 59 \cdot 509.\\

The first five values of \( m \) here actually are prime, but the last one is not, its factorization producing two new primes beyond \( 2, 3, 5, 7, 11, 13 \) — namely, \( 59 \) and \( 509. \)

Legendre on the Distribution of Primes

The density of the primes within the stream of integers oscillates wildly and seemingly without pattern. There are fourteen primes between 500 and 600, for example, with 521 being prime, 522 not prime (composite), 523 prime, followed by 17 composites in a row before the next prime at 541. There are 25 primes between 1 and 100, and the primes do seem to thin out on average as one proceeds to greater values. Define the prime counting function \( \pi(x) \) as the number of primes less than or equal to the positive real number \( x, \) so the remarks above can be reframed as:

\pi(600) - \pi(500) &= 14,\\
\pi(540) - \pi(523) &= 0,\\
\pi(100) &= 25.

Legendre speculated based on a meticulous examination of prime tables available to him in 1808 that:[1]

\[ \pi(x) \approx \text{ leg}(x) := { x \over {\log(x) - 1.08366}}, \]

where \( \approx \) means "is approximately equal to" and where \( \log{x} \) is the natural logarithm of \( x, \) that is, the power of \( e \) that \( x \) is. So, for example:

\pi(100) &\approx {100 \over {\log(100) - 1.08366}}\\[1.5ex]
&= {100 \over {4.60517 - 1.08366}}\\[1.5ex]
&= {100 \over 3.52151}\\[1.5ex]
&= 28.40

This differs from the actual value of \( \pi(100) = 25 \) by a relative error of 13%, which isn't too bad, but isn't particularly impressive either. In fact the match is uncannily good over the first million integers when approximating \( \pi(x) \) by \( \text{ Leg}(x) = \text{ round(leg}(x)), \) where round() rounds to the nearest integer:

\(\hspace{20px}x\) \( \text{ Leg }(x)\) \( \pi(x)\) \(\hspace{20px}x\) \( \text{ Leg }(x)\) \( \pi(x)\)
10000 1231 1229 350000 29961 29977
20000 2268 2262 400000 33854 33860
30000 3252 3245 450000 37709 37706
40000 4205 4203 500000 41533 41538
50000 5136 5133 550000 45327 45322
60000 6049 6057 600000 49096 49098
70000 6950 6935 650000 52841 52831
80000 7838 7837 700000 56565 56543
90000 8718 8713 750000 60269 60238
100000 9588 9592 800000 63955 63951
150000 13844 13848 850000 67625 67617
200000 17982 17984 900000 71279 71274
250000 22035 22044 950000 74918 74907
300000 26024 25997 1000000 78543 78498

Legendre has this table up to 400,000 except for a few small errors. There are many exact matches between \( \text{ Leg}(x) \) and \( \pi(x) \) over the first million integers, even short runs (to be expected considering that \( \text{ leg}(x) \) grows smoothly and \( \pi(x) \) in jerks). For example:

\[ \text{ Leg}(x) = \pi(x) = 72,634, \text{ for } 918,592 \leq x \leq 918,604. \]

Gauss on the Distribution of Primes

In his famous letter to Encke[2] of Christmas Eve, 1849, the 72 year old Gauss relates how as a boy he calculated the density of the primes in blocks of a thousand and how this became a lifelong pastime and led to a conjecture:

## Someone pasted records of crystals at this point
/*
The following is a PBE calculation of Er12Ag2Hg5 after structural relaxation, from the Alexandria database.

It has space group C2/m (No. 12), with a = 13.984 Å, b = 8.547 Å, c = 8.998 Å, α = 90.00°, β = 94.87° and γ = 90.00°. The inequivalent atoms are Er at (0.024, 0.000, 0.242), Er at (0.076, 0.500, 0.841), Er at (0.126, 0.212, 0.553), Er at (0.186, 0.293, 0.176), Ag at (0.000, 0.233, 0.000), Hg at (0.000, 0.500, 0.500), Hg at (0.168, 0.000, 0.953) and Hg at (0.249, 0.000, 0.373).

For the calculated formation energy, the calculation gives -144 meV/atom.

The following is a PBE calculation of BeSb2AsF after structural relaxation, from the Alexandria database.

It has space group P4/mmm (No. 123), with a = 5.461 Å, b = 5.461 Å, c = 3.913 Å, α = 90.00°, β = 90.00° and γ = 90.00°. The inequivalent atoms are Be at (0.000, 0.000, 0.000), Sb at (0.000, 0.500, 0.500), As at (0.500, 0.500, 0.500) and F at (0.500, 0.500, 0.000).

For the raw formation energy, the calculation gives 0.249 eV/atom.

The following is a PBE calculation of YBeNiRu2 after structural relaxation, from the Alexandria database.

It has space group P4/mmm (No. 123), with a = 4.505 Å, b = 4.505 Å, c = 4.805 Å, α = 90.00°, β = 90.00° and γ = 90.00°. The inequivalent atoms are Y at (0.000, 0.000, 0.000), Be at (0.500, 0.500, 0.000), Ni at (0.000, 0.000, 0.500) and Ru at (0.000, 0.500, 0.500).

For the calculated formation energy, the calculation gives 1043 meV/atom.

The following is a PBE calculation of SmInPt2 after structural relaxation, from the Alexandria database.

It has space group P4/mmm (No. 123), with a = 3.521 Å, b = 3.521 Å, c = 6.620 Å, α = 90.00°, β = 90.00° and γ = 90.00°. The inequivalent atoms are Sm at (0.000, 0.000, 0.000), In at (0.000, 0.000, 0.500) and Pt at (0.500, 0.500, 0.273).

For the calculated formation energy, the calculation gives -790 meV/atom.

The following is a PBE calculation of Tl7Hg3Au2 after structural relaxation, from the Alexandria database.

It has space group Cmmm (No. 65), with a = 4.905 Å, b = 29.970 Å, c = 4.746 Å, α = 90.00°, β = 90.00° and γ = 90.00°. The inequivalent atoms are Tl at (0.000, 0.000, 0.000), Tl at (0.000, 0.088, 0.500), Tl at (0.000, 0.208, 0.500), Tl at (0.000, 0.411, 0.000), Hg at (0.000, 0.290, 0.000), Hg at (0.000, 0.500, 0.500) and Au at (0.000, 0.350, 0.500).

For the calculated formation energy, the calculation gives -2 meV/atom.

The following is a PBE calculation of BaAgN after structural relaxation, from the Alexandria database.

It has space group P-1 (No. 2), with a = 4.271 Å, b = 4.884 Å, c = 8.222 Å, α = 84.32°, β = 83.89° and γ = 82.99°. The inequivalent atoms are Ba at (0.024, 0.022, 0.241), Ag at (0.500, 0.500, 0.000), Ag at (0.500, 0.500, 0.500) and N at (0.412, 0.940, 0.955).

For the raw formation energy, the calculation gives -0.098 eV/atom.

The following is a PBE calculation of RbScSiO4 after structural relaxation, from the Alexandria database.
*/
## Back to the article

My distinguished friend,

Your remarks concerning the frequency of primes were of interest to me in more ways than one. You have reminded me of my own endeavors in this field which began in the very distant past, in 1792 or 1793, after I had acquired the Lambert supplements to the logarithmic tables. Even before I had begun my more detailed investigations into higher arithmetic, one of my first projects was to turn my attention to the decreasing frequency of primes, to which end I counted the primes in several chiliads (thousands) and recorded the results on the attached white pages. I soon recognized that behind all of its fluctuations, this frequency is on the average inversely proportional to the logarithm, so that the number of primes below a given bound n is approximately equal to \[\int {dn \over \log{n}},\] where the logarithm is understood to be hyperbolic.[3]

chiliad #primes
991 71
992 79
993 65
994 68
995 78
996 69
997 69
998 83
999 74
1000 65

By "hyperboloic logarithm", Gauss means the natural logarithm — the area under a hyperbola! In his published Nachlass (papers found after death), Gauss lists the number of primes in every chiliad up to one million. His figures for the last ten chiliads, shown here, are correct — there are exactly 71 primes between 990,000 and 991,000, for example, and 721 primes between 990,000 and 1,000,000, adding up the ten chiliads on the list. So on average, there are 72.1 primes per chiliad just before 1,000,000. Compare to \( 1 / \log{(995,000)} = 0.0724, \) predicting about 72.4 primes per chiliad in this range by Gauss's hypothesis. The man was on to something. In the words of L. J. Goldstein:

Gauss' calculations are awesome to contemplate, since they were done long before the days of high-speed computers. Gauss' persistence is most impressive. ... In spite of these (remarkably few) errors, Gauss' calculations still provide overwhelming evidence in favor of the prime number theorem. Modern students of mathematics should take note of the great care with which data was compiled by such giants as Gauss. Conjectures in those days were rarely idle guesses. They were usually supported by piles of laboriously gathered evidence.[4]

The Fundamental Theorem of Calculus states that for a differentiable function \( f(x): \)

\[ \int_a^b f'(t) dt = f(b) - f(a). \]

That is, integrate the rate of change of a function to find its difference over a range. Obviously \( \pi(x) = \text{ number of primes } \leq x \) isn't differentiable, but Gauss is using the basic concept to suggest that:

\begin{equation}{\int_a^b {dt \over \log{t}} \approx \pi(b) - \pi(a),}\tag{1} \end{equation}

where \( \approx \) means "is approximately equal to". Put \( a = 2, \; b = x \) in (1) and leave off the \( \pi(2) = 1, \) which won't affect the outcome in the limit, to get:

\begin{equation}{\int_2^x {dt \over \log{t}} \approx \pi(x).}\tag{2} \end{equation}

(2) is in fact the celebrated Prime Number Theorem when \( \approx \) is replaced by \( \sim, \) meaning that the ratio of the two sides of (2) has the limit \( 1 \) as \( x \rightarrow \infty. \) The Prime Number Theorem was proven in 1896 by Hadamard and de la Vallée Poussin using complex analysis and by Erdős and Selberg in 1948 using elementary methods (that is, without appeal to complex analysis).

Gauss Counts Centuries
 prime table in Gauss's Nachlass
Prime table in Gauss's Nachlass (1876)

Between one million and three million, Gauss created tables like this one, which shows the distribution of primes in centuries between 1,000,000 and 1,100,000, taking a century as a block of 100 integers starting at a multiple of 100. Each column counts centuries in a myriad (a block of 10,000 integers starting at a multiple of 10,000), so the column under 0 counts centuries between 1,000,000 and 1,010,000, the column under 1 counts centuries between 1,010,000 and 1,020,000, and so on. The numbers along the left indicate how many centuries in the given myriad contain that many primes. The 1 at the top left just inside the table proper indicates that there is one century between 1,000,000 and 1,010,000 containing exactly one prime. The two blanks below it indicate that there are no centuries between 1,000,000 and 1,010,000 containing either two or three primes. The 2 underneath the two blanks indicates that there are two centuries between 1,000,000 and 1,010,000 containing exactly four primes, and so on.

Since each column in the body of the table counts centuries in a myriad, each of those columns sums to 100. The numbers along the bottom count the number of primes in the myriad; for the first column, for example:

\begin{align} \# \text{ primes in the myriad} &= \sum \# (\text{centuries with a given number of primes}) \cdot (\text{that number of primes})\\
&= 1 \cdot 1 + 2 \cdot 4 + 11 \cdot 5 + \ldots + 1 \cdot 12 + 1 \cdot 13\\
&= 752.

The far right column counts centuries in the entire block of 100,000, so that column sums to 1,000 and the value at the bottom right corner, 7210, counts the number of primes in the entire block of 100,000: it results from a calculation similar to the one immediately above and also equals the sum of the values to its left along the bottom of the table.

I checked the first column by hand against a list of the primes between 1,000,000 and 1,100,000, much as Gauss did, and also with a PHP program. The list is a massaged version extracted from Chris Caldwell's list of the first million primes. There are three small errors in the first column: the correct values are 13 centuries containing 6 primes, not 14; and 27 centuries containing 7 primes, not 26 — the other century counts in the first column are correct. This makes the number at the lower left off by one: the correct value is that there are 753 primes between 1,000,000 and 1,010,000, not 752. This can be checked at WolframAlpha with the command pi(1,010,000)-pi(1,000,000).

I haven't checked the other myriads, but did use the same program to check the column on the far right listing the centuries in the entire block of 1,000,000 to 1,100,000. The correct values, listing them horizontally, are:

[Someone pasted data records at this point]
'''
BeBr4: optimized geometry, GGA-PBE.

```
data_BeBr4
_cell_length_a 4.917
_cell_length_b 4.917
_cell_length_c 4.917
_cell_angle_alpha 90.00
_cell_angle_beta 90.00
_cell_angle_gamma 90.00
_symmetry_space_group_name_H-M 'P 1'
_symmetry_Int_Tables_number 1
_symmetry_space_group_name_Hall 'P 1'
loop_
_atom_site_label
_atom_site_fract_x
_atom_site_fract_y
_atom_site_fract_z
_atom_site_occupancy
Be1 0.000 0.000 0.000 1
Br1 0.000 0.000 0.500 1
Br2 0.000 0.500 0.000 1
Br3 0.500 0.000 0.000 1
Br4 0.500 0.500 0.500 1
```

Raw formation energy   0.139 eV per formula unit
Space group   Pm-3m (221)
V   118.9 Å³ per cell



Be2Br: optimized geometry, GGA-PBE.

```
data_Be2Br
_cell_length_a 3.266
_cell_length_b 20.885
_cell_length_c 3.039
_cell_angle_alpha 90.00
_cell_angle_beta 90.00
_cell_angle_gamma 90.00
_symmetry_space_group_name_H-M 'P 1'
_symmetry_Int_Tables_number 1
_symmetry_space_group_name_Hall 'P 1'
loop_
_atom_site_label
_atom_site_fract_x
_atom_site_fract_y
_atom_site_fract_z
_atom_site_occupancy
Be1 0.000 0.044 0.250 1
Be2 0.000 0.251 0.750 1
Be3 0.000 0.749 0.250 1
Be4 0.000 0.956 0.750 1
Be5 0.500 0.249 0.250 1
Be6 0.500 0.456 0.750 1
Be7 0.500 0.544 0.250 1
Be8 0.500 0.751 0.750 1
Br1 0.000 0.395 0.250 1
Br2 0.000 0.605 0.750 1
Br3 0.500 0.105 0.750 1
Br4 0.500 0.895 0.250 1
```

Raw formation energy   1.874 eV per formula unit
Space group   Cmcm (63)
V   207.3 Å³ per cell



BeBr2: optimized geometry, GGA-PBE.

```
data_BeBr2
_cell_length_a 3.298
_cell_length_b 14.621
_cell_length_c 8.924
_cell_angle_alpha 90.00
_cell_angle_beta 90.00
_cell_angle_gamma 90.00
_symmetry_space_group_name_H-M 'P 1'
_symmetry_Int_Tables_number 1
_symmetry_space_group_name_Hall 'P 1'
loop_
_atom_site_label
_atom_site_fract_x
_atom_site_fract_y
_atom_site_fract_z
_atom_site_occupancy
Be1 0.000 0.113 0.250 1
Be2 0.000 0.887 0.750 1
Be3 0.500 0.387 0.750 1
Be4 0.500 0.613 0.250 1
Br1 0.000 0.279 0.750 1
Br2 0.000 0.496 0.750 1
Br3 0.000 0.504 0.250 1
Br4 0.000 0.721 0.250 1
Br5 0.500 0.004 0.250 1
Br6 0.500 0.221 0.250 1
Br7 0.500 0.779 0.750 1
Br8 0.500 0.996 0.750 1
```

Raw formation energy   -2.020 eV per formula unit
Space group   Cmcm (63)
V   430.4 Å³ per cell



BeBr: optimized geometry, GGA-PBE.

```
data_BeBr
_cell_length_a 8.733
_cell_length_b 8.584
_cell_length_c 4.976
_cell_angle_alpha 74.94
_cell_angle_beta 71.67
_cell_angle_gamma 33.38
_symmetry_space_group_name_H-M 'P 1'
_symmetry_Int_Tables_number 1
_symmetry_space_group_name_Hall 'P 1'
loop_
_atom_site_label
_atom_site_fract_x
_atom_site_fract_y
_atom_site_fract_z
_atom_site_occupancy
Be1 0.029 0.029 0.221 1
Be2 0.221 0.221 0.029 1
Be3 0.779 0.779 0.971 1
Be4 0.971 0.971 0.779 1
Br1 0.118 0.632 0.632 1
Br2 0.368 0.882 0.882 1
Br3 0.632 0.118 0.118 1
Br4 0.882 0.368 0.368 1
```

Raw formation energy   0.501 eV per formula unit
Space group   Fddd (70)
V   194.8 Å³ per cell



Be2Br: optimized geometry, GGA-PBE.

```
data_Be2Br
_cell_length_a 3.235
_cell_length_b 20.840
_cell_length_c 3.336
'''
[Here the entry continues]

\[ 1, 4, 21, \color{red}{53}, \color{red}{115}, \color{red}{170}, 217, 164, \color{red}{125}, \color{red}{73}, 39, 12, 6, \color{red}{7216} \]

That is, Gauss's prime count for the block was off, \( \color{red}{7216} \) being the correct value for the number of primes between 1,000,000 and 1,100,000. Note his statement at the bottom that:

\[ \int {dx \over \log{x}} = 7212.99. \]

His point is that this definite integral, taken from 1,000,000 to 1,100,000, is approximately equal to the number of primes between 1,000,000 and 1,100,000. Gauss no doubt used Simpson's Rule to calculate the integral, which gives \( \int {dx / \log{x}} = 7212.99438, \) the correct value being \( 7212.99426 \)

In the letter, Gauss goes on to discuss Legendre's formula and expresses skepticism about the constant in the denominator, noting that the formula becomes less accurate the higher you go.

The Prime Number Theorem

The Prime Number Theorem states that:

\begin{equation}{ \pi(x) \sim \int_2^x {dt \over \log{t}}, }\tag{2'} \end{equation}

meaning that the ratio of the two sides of (2') goes to \( 1 \) as \( x \rightarrow \infty. \) The right side of (2') is called the logarithmic integral, denoted by \( \text{ Li}(x). \) Sometimes the PNT is stated as:

\begin{equation}{ \pi(x) \sim {x \over \log{x}}, }\tag{3} \end{equation}

and (2') and (3) are equivalent:[5]

 area under integral
\( \int_a^b f(t) \leq (b-a)\cdot f(a) \)

Theorem. Put \( \text{ Li}(x) := \int_2^x {dt \over \log{t}}, \;\; A(x) := {x \over \log{x}}. \) Then as \( x \rightarrow\ \infty, {\pi(x) \over {\text{ Li}(x)}} \rightarrow 1 \) if and only if \( {\pi(x) \over A(x)} \rightarrow 1. \)

== Misplaced materials data ==
=====
The following is a DFT calculation (PBE) of a geometry-optimized NaPmSb structure.

Unit cell a=4.238 b=4.238 c=9.547 alpha=90.00 beta=90.00 gamma=90.00
Space group I4mm (No. 107)
Symmetry-distinct sites (fractional):
Na  0.000  0.000  0.000 (multiplicity 2)
Pm  0.000  0.000  0.320 (multiplicity 2)
Sb  0.000  0.000  0.672 (multiplicity 2)

Computed properties:
- crystal system = tetragonal
- excess energy over the best structure of this formula in the dataset (meV per atom) = 125
- formation energy (no corrections) (eV/f.u.) = -1.27

=====

The following is a DFT calculation (PBE) of a geometry-optimized Na2TlSn6 structure.

Unit cell a=16.466 b=9.427 c=3.194 alpha=90.00 beta=90.71 gamma=90.00
Space group C2/m (No. 12)
Symmetry-distinct sites (fractional):
Na  0.166  0.000  0.001 (multiplicity 4)
Tl  0.000  0.500  0.000 (multiplicity 2)
Sn  0.000  0.166  0.500 (multiplicity 4)
Sn  0.168  0.333  0.503 (multiplicity 8)

Computed properties:
- crystal system = monoclinic
- formation energy (meV per atom) = -92.4
=====

Proof. Integrate \( \text{ Li}(x) \) by parts with \( v = {1 \over \log{t}}, \; du = dt \) to get:

\begin{equation}{ \text{ Li}(x) = {x \over \log{x}} - {2 \over \log{2}} + \int_2^x {dt \over \log^2{t}}.}\tag{4} \end{equation}

For \( x \geq 4, \) the definite integral at the end of (4) can be broken into two pieces:

\int_2^x {dt \over \log^2{t}} &= \int_2^{\sqrt{x}} {dt \over \log^2{t}} + \int_{\sqrt{x}}^x {dt \over \log^2{t}}\\[1.5ex]
&\leq \sqrt{x} \cdot {1 \over \log^2{2}} + x \cdot {1 \over \log^2{\sqrt{x}}}.\tag{5}

Each integral on the right is less than or equal to the expression beneath it, since \( 1 \over \log^2{t} \) is monotonically decreasing for \( t \geq 2, \) so the principle in the box applies. Combining (4) and (5):
\text{ Li}(x) - A(x) &\leq -{2 \over \log{2}} + {\sqrt{x} \over \log^2{2}} + {x \over \log^2{\sqrt{x}}}\\[2.0ex]
\therefore \left|{{\text{ Li}(x)} \over A(x)} - 1\right| &\leq \left|{-{2 \over \log{2}} + {\sqrt{x} \over \log^2{2}} + {x \over \log^2{\sqrt{x}}} \over A(x)}\right|\\[2.0ex]
& \leq {\log{x} \over x} \cdot \left({2 \over \log{2}} + {\sqrt{x} \over \log^2{2}} + {x \over \log^2{\sqrt{x}}}\right)\\[2.0ex]
&= {{2 \over \log{2}} \cdot {\log{x} \over x}} + {1 \over \log^2{2}} \cdot {\log{x} \over \sqrt{x}} + {\log{x} \over \log^2{\sqrt{x}}}\\[2.0ex]
&= {{2 \over \log{2}} \cdot {\log{x} \over x}} + {1 \over \log^2{2}} \cdot {\log{x} \over \sqrt{x}} + {4 \over \log{x}}.\\[2.0ex]
The expression at the bottom goes to zero as \(x\) goes to infinity, so \(\text{Li}(x)/A(x) \rightarrow 1\) as \(x \rightarrow \infty\) and \( {\pi(x) \over \text{ Li}(x)} \rightarrow 1 \) if and only if \( {\pi(x) \over {x / \log{x}}} \rightarrow 1. \)QED.

\(x\) \(\pi(x)\) \(\text{Li}(x)\) \(x\over\log{x}\) \(\pi(x)\over\text{Li}(x)\) \({\pi(x)\over{x/\log{x}}}\)
100 25 30.13 21.71 0.830 1.151
1000 168 177.61 144.76 0.946 1.161
10,000 1229 1246.14 1085.74 0.986 1.132
100,000 9592 9629.81 8685.89 0.996 1.104
1,000,000 78498 78627.54 72382.41 0.998 1.084

Although either \( \text{ Li}(x) \) or \( A(x) = x / \log{x} \) can be used to approximate \( \pi(x), \text{ Li}(x) \) does so much better, as this chart shows. In the bottom row, for example, \( \pi(x) \over \text{Li}(x) \) is 50 times closer to 1 than \( \pi(x) \over {x / \log{x}} \) is.

Mike Bertrand

November 28, 2020

^ 1. Essai Sur La Théorie Des Nombres, 2nd edition, by A. M. Legendre, Courcier (1808). See p. 394 for the formula and table.

^ 2. Carl Friedrich Gauss Werke, Band II. See p. 444 for the letter to Encke. His prime tables are at pp. 435-443.

^ 3. The entire letter is translated into English in "A History of the Prime Number Theorem", by L. J. Goldstein, The American Mathematical Monthly, Vol. 80, No. 6 (1973), pp. 599-615. This invaluable article considers Legendre's and Gauss's anticipation of the Prime Number Theorem, as well as subsequent work in the nineteenth century by Dirichlet, Chebyshev, and Riemann. The translation of the letter to Encke is in Appendix B, pp. 612-614.

^ 4. Goldstein, p. 603.

^ 5. This proof is in Goldstein, pp. 599-600.